Tuesday, July 5, 2011

Fourth of July: A weekend of CELEBRATING

Our Independence Day weekend was filled with celebrating!  Earlier this month, my friend Carla spoke to me about the importance of celebrating our relationships, friendships and people in general.  It really resonated with me because that is a desire of my heart: to really celebrate life and the people I encounter.  This weekend provided some great opportunities to do just that. 

As usual, my weekend started Thursday night (I'm sure taking advantage of this summer schedule).  Thursday evening I was able to have a last minute dinner with some good college friends of mine, Kellie and Rachel (we missed you, Steph!).   I'm so thankful that we have been able to stay in touch for the past 5 years.  We have endured new towns, new jobs, new relationships and new last names together.  It's been a joy to walk through life with them and it was great to catch up over some food at Atlantic Station. 

On Friday morning, I spent some great time in prayer with some ladies from a ministry called "Adventures of the Heart".  It was a sweet and revealing prayer time and I'm so thankful for their ministry and the impact it's making in women's hearts.  After our prayer time, I dropped by Wellspring to deliver an assessment for one of the women and then ate lunch at one of my favorite places, CAFE INTERMEZZO!  

Friday evening was a great catch up night and Daniel and I started on our "operation clean house".  We just built a new deck and we will be tearing out a window in our kitchen to install a door out to the deck and a sidelight.  This weekend, Daniel is assembling the shed we've been storing for months, so I'm really excited for him to be able to move some of his "man stuff" out of the garage! :) 

Saturday evening was the beautiful celebration of our friend John.  It was his 40th birthday so everyone did it up BIG.  Here are some pictures of the event:

He looked like a southern Senator so we called him that all night.  He definitely played the part well. :)

It was a wonderful time with friends and amazing food!  John is definitely a person to be celebrated!  After dinner it was so beautiful outside and my feet were hurting so bad from my heels so my friend Carla and I took our shoes off and walked to the open space beside the event area and just laid flat in the grass.  We talked about all kinds of things and then Dan and Adam joined us.  It was such a sweet time with friends.  

Carla and I before dinner

Sunday was fairly typical in that it consisted of church, reading and relaxing with Daniel.  We also had a great, carb-filled dinner at Olive Garden.   I had to store up all my energy for the Peachtree Road Race the next morning!  A friend of mine wasn't able to run it so she transferred her number to me.  It was such a gift! 

I am so incredibly sore today because I didn't run at all for the past two months, so going out to run 6.2 miles without training probably wasn't the smartest idea but it was so worth it.  I was also so thankful that my heart held up great throughout the whole race. 

### Between two parts of the piece: data records
........
(1)
# LiTm2In
Computed X-ray diffraction stick pattern, Cu Kα X-rays. Input: a DFT-relaxed cell (PBE, the Materials Project).
Peak positions follow from Bragg's law for the DFT cell and can differ from measured ones.

The 10 most intense peaks (2θ from 5° to 70°), low angle first:
| 2θ (°) | intensity |
| --- | --- |
| 20.90 | 14 |
| 24.18 | 27 |
| 34.45 | 100 |
| 40.64 | 8 |
| 42.53 | 8 |
| 49.52 | 18 |
| 54.31 | 3 |
| 55.84 | 11 |
| 61.72 | 37 |
| 65.92 | 2 |

Structural model:
Cell lengths 5.2062, 5.2062, 5.2062 Å; angles 60.00, 60.00, 60.00 degrees
Fractional coordinates of all 4 atoms:
Li 0.0000 0.0000 0.0000
Tm 0.2500 0.2500 0.2500
Tm 0.7500 0.7500 0.7500
In 0.5000 0.5000 0.5000

=====

(2)
# Li2TmIn
Computed X-ray diffraction stick pattern, Cu Kα X-rays. Input: a DFT-relaxed cell (PBE, the Materials Project).
Peak positions follow from Bragg's law for the DFT cell and can differ from measured ones.

The 9 most intense peaks (2θ from 5° to 70°), low angle first:
| 2θ (°) | intensity |
| --- | --- |
| 22.65 | 6 |
| 26.21 | 100 |
| 37.40 | 91 |
| 44.17 | 4 |
| 46.24 | 29 |
| 53.93 | 16 |
| 59.22 | 2 |
| 60.92 | 37 |
| 67.47 | 32 |

Structural model:
Cell lengths 4.8090, 4.8090, 4.8090 Å; angles 60.00, 60.00, 60.00 degrees
Fractional coordinates of all 4 atoms:
Li 0.2500 0.2500 0.2500
Li 0.7500 0.7500 0.7500
Tm 0.0000 0.0000 0.0000
In 0.5000 0.5000 0.5000

=====

Record 1
Calculated XRD peak list
Compound: Sr2AlZn2O6
Radiation: CuKα
Structure: DFT lattice parameters and positions (GGA-PBE)
Intensities are scaled so that the largest is 100.

a b c (Å): 6.196 6.196 6.196
angles (deg): 55.55 55.55 55.55
Positions (direct):
Sr 0.211 0.211 0.211
Sr 0.789 0.789 0.789
Al 0.000 0.000 0.000
Zn 0.412 0.412 0.412
Zn 0.588 0.588 0.588
O 0.216 0.773 0.773
O 0.227 0.227 0.784
O 0.227 0.784 0.227
O 0.773 0.216 0.773
O 0.773 0.773 0.216
O 0.784 0.227 0.227

Most intense lines, 10 to 90 degrees two-theta, most intense first:
two_theta, Rel. int.
31.0, 100
33.8, 79
56.9, 43
46.5, 32
64.6, 20
55.1, 19
74.9, 15
37.8, 14
34.3, 13
89.9, 13

=====

Record 2
Calculated XRD peak list
Compound: TaAlO4
Radiation: CuKα
Structure: DFT lattice parameters and positions (GGA-PBE)
Intensities are scaled so that the largest is 100.

a b c (Å): 4.512 11.394 4.806
angles (deg): 90.00 90.00 90.00
Positions (direct):
Ta 0.000 0.169 0.250
Ta 0.000 0.831 0.750
Ta 0.500 0.331 0.750
Ta 0.500 0.669 0.250
Al 0.000 0.435 0.250
Al 0.000 0.565 0.750
Al 0.500 0.065 0.750
Al 0.500 0.935 0.250
O 0.226 0.313 0.081
O 0.226 0.687 0.581
O 0.233 0.442 0.577
O 0.233 0.558 0.077
O 0.267 0.058 0.077
O 0.267 0.942 0.577
O 0.274 0.187 0.581
O 0.274 0.813 0.081
O 0.726 0.187 0.919
O 0.726 0.813 0.419
O 0.733 0.058 0.423
O 0.733 0.942 0.923
O 0.767 0.442 0.923
O 0.767 0.558 0.423
O 0.774 0.313 0.419
O 0.774 0.687 0.919

Most intense lines, 10 to 90 degrees two-theta, most intense first:
two_theta, Rel. int.
28.2, 100
30.8, 48
24.2, 44
49.2, 28
55.4, 24
36.7, 21
15.6, 18
47.3, 16
55.9, 15
65.5, 14

=====
........

The rest of the day was spent running errands and relaxing.  On the evening of the 4th, we drove up to the top of the cemetery to see the fireworks but we only saw a few because of the rain. 

Here are a few highlights from the race:

My favorite part!  Running underneath a shower of "Holy Water" that the church had strategically placed on the side of the road.  

The flag at the starting line and a tired, hot (but happy) Julie at the finish line. 
Loved the energy at the Peachtree and I hope to do it again next year!